ANKARA: A beginner’s guide to Ergenekon, trial of the century

Today’s Zaman, Turkey
Jan 4 2009

A beginner’s guide to Ergenekon, trial of the century

Following Turkish politics can be confusing, especially in current
times when the country is witnessing what analysts term the `trial of
the century,’ involving alleged members of a group that, as briefly
described by newspapers, is suspected of a number of crimes that
appear to have been committed for the ultimate political purpose of
bending the country toward a certain political agenda.

For the uninitiated, the details of the case, frequent and often
confusing references to past events that go back as far as 30 years

The relationships between and identities of the suspects and, perhaps
most significantly, the meaning most segments seem to attach to the
trial might be confounding. This article is intended as a guide to
cover the basics about the gang known as Ergenekon and attempts to
introduce concepts that might help the reader understand the structure
of Ergenekon.

The Ergenekon investigation, in which 86 suspects are currently being
accused of various crimes, began in July 2007 with a raid into a
shanty house in Ä°stanbul that police discovered was being used
as an arms depot. The ensuing investigation revealed a bundle of
unholy relationships between very different individuals, various
groups with a wide range of and even opposing political ideologies,
associations, foundations and past incidents — such as unresolved
assassinations, suspicious bombings or dubious public protests —
which seemed to have been organized by an all-knowing center to
manipulate public opinion. The incidents include a surprising number
of murders, assassinations and bombings earlier attributed to
left-wing groups, to Islamists or to the outlawed Kurdistan Workers’
Party (PKK).

The basics of deep state structures

But to understand how and why these people came together and for what
reason, we need to look at the foundations of the Ergenekon structure,
which is thought to be part of a phenomenon known in Turkey as `a
state within the state,’ `the deep state,’ or the `counter guerilla.’
Although even the most authoritative researchers cannot agree on a
single description for this phenomenon, today we have compelling
reasons to believe that the fundaments of this structure were built in
the `70s.

Assassinations of union leaders, journalists and even a prime
minister, and most notably the brutal killings of seven students who
were members of the Turkey Workers’ Party (TÄ°P) in Ankara’s
Bahçelievler district — all murders that occurred before the
1980 coup d’etat in Turkey — were committed by leaders of extreme
nationalist grey wolf groups associated with the Nationalist Movement
Party (MHP). When officials admitted openly that some of these people
had served in Turkey’s National Intelligence Organization (MÄ°T)
and some MHP members complained that there were too many MÄ°T
agents inside their party, the question arose as to whether the state
was feeding terrorism using nationalist youth leaders. Some
nationalist youth members who have organized assassinations or
provocative attacks for the MÄ°T would, over the years, openly
confess their relationship with various state agencies, including the
army. One such example is Kemal DemiraÄ?i, a nationalist who
attempted to shoot President Turgut Ã-zal. Later, he announced that
he and his friends had been trained by some retired generals in the

Similarity to Operation Gladio

Was there any government involvement in the 1999 Russian apartment
block bombings, which were blamed on Chechen terrorists? Were the
Sept. 11 terrorist attacks actually an inside job? We do not know. But
in both cases, proponents of theories about government involvement in
the attacks have had some solid proof. Imagine the chaos, confusion
and anger that would occur if government involvement in either of the
two cases were officially confirmed. This is what happened in August
1990, when Italian Prime Minister Giulio Andreotti confirmed that a
secret army called Gladio (the Italian word for double-edged sword)
had existed in Italy throughout the Cold War period. He also said that
similar paramilitary organizations were set up with the support of the
CIA against communism during the Cold War era in various European
countries. Gladio in Italy, where communism was strongest, spread
quickly to other countries. As explained by Daniele Ganser, a Swiss
historian and researcher at the University of Basel’s history
department and author of the book `NATO’s Secret Armies’ on the
history of Gladio in Europe, the operations were so secretive that
most people, including prime ministers, had no idea these networks

But what happened to Gladio in Europe? Once they were over the initial
shock, European countries started investigations and dealt with these
one by one. In Ganser’s words from an earlier interview with Today’s
Zaman: `Well, at first, people were shocked to hear that secret armies
had existed in their countries. Here in Switzerland, one
parliamentarian said he had lost eight kilograms during the
investigation because he was so shocked. He never thought it was
possible that a secret army could have existed in Switzerland. In
Germany people were shocked, too, to hear that former Nazis were
active in these networks, that the CIA trained Nazis was unbelievable
for them. So in the beginning it was a shock. But then, when the
secret armies were closed down — if indeed that was the case — then
people were relieved.’

Many analysts today believe such networks in Turkey could be remnants
of the Turkish leg of the actual Gladio of the Cold War era. Whatever
the theory, Turkey has yet to clean up its own Gladio.

Exposure of the deep state

# Here the page breaks off for calculated crystals
VASP calculation (PBE with a Hubbard U) on an optimized crystal structure of Li4Cr5SbO12.

The structure in CIF format:
```
data_Li4Cr5SbO12
_cell_length_a 5.240
_cell_length_b 21.035
_cell_length_c 5.242
_cell_angle_alpha 93.99
_cell_angle_beta 119.99
_cell_angle_gamma 81.99
_symmetry_space_group_name_H-M 'P 1'
_symmetry_Int_Tables_number 1
_symmetry_space_group_name_Hall 'P 1'
loop_
_atom_site_label
_atom_site_type_symbol
_atom_site_fract_x
_atom_site_fract_y
_atom_site_fract_z
Li1 Li 0.109 0.354 0.663
Li2 Li 0.109 0.854 0.663
Li3 Li 0.554 0.146 0.663
Li4 Li 0.554 0.646 0.663
Li5 Li 0.446 0.354 0.336
Li6 Li 0.446 0.854 0.337
Li7 Li 0.890 0.146 0.337
Li8 Li 0.890 0.646 0.336
Cr1 Cr 0.838 0.250 0.676
Cr2 Cr 0.838 0.750 0.676
Cr3 Cr 0.335 0.000 0.669
Cr4 Cr 0.335 0.500 0.669
Cr5 Cr 0.665 0.000 0.330
Cr6 Cr 0.500 0.250 0.999
Cr7 Cr 0.500 0.750 0.999
Cr8 Cr 0.163 0.250 0.325
Cr9 Cr 0.163 0.750 0.325
Cr10 Cr 0.665 0.500 0.330
Sb1 Sb 0.000 0.000 0.000
Sb2 Sb 0.000 0.500 0.000
O1 O 0.150 0.302 0.001
O2 O 0.150 0.802 0.001
O3 O 0.851 0.198 0.001
O4 O 0.851 0.698 0.001
O5 O 0.304 0.048 0.000
O6 O 0.304 0.548 0.000
O7 O 0.696 0.452 0.000
O8 O 0.695 0.952 0.000
O9 O 0.973 0.050 0.333
O10 O 0.973 0.550 0.332
O11 O 0.360 0.450 0.332
O12 O 0.360 0.950 0.333
O13 O 0.640 0.050 0.667
O14 O 0.640 0.550 0.667
O15 O 0.027 0.450 0.667
O16 O 0.027 0.950 0.667
O17 O 0.196 0.198 0.655
O18 O 0.196 0.698 0.655
O19 O 0.459 0.302 0.655
O20 O 0.459 0.802 0.655
O21 O 0.540 0.199 0.345
O22 O 0.540 0.699 0.345
O23 O 0.805 0.301 0.345
O24 O 0.805 0.801 0.345
```

Values from the calculation:
calculated formation energy = -220.6 kJ/mol of atoms
VASP energy = -302.92 eV per cell

Former Prime Minister Bülent Ecevit was the first politician to
learn of the existence of this secret formation. In 1977, he said in a
speech that `an organization inside the state, but outside the state’s
control’ had carried out the incidents of May 1, 1977, when unknown
perpetrators opened fire from a hotel on a crowd gathered in Taksim
Square for May Day celebrations, killing 36. Ecevit narrowly escaped
an assassination attempt 20 days after his statement. Later, the
US-made gun used in the assassination attempt proved to be property of
the Ä°zmir Police Department and the failed assassin a police
officer, but the incident was quickly covered up.

Soon after, there was a coup d’état. Many years passed. In
1996, a car accident occurred. A truck ran into a Mercedes near the
small town of Susurluk. A police chief, a convicted fugitive who was
an ultranationalist and a deputy were in the Mercedes. The
ultranationalist fugitive, who died in the accident, was the man
driving the car when nationalist youths killed seven students who were
members of TİP in Bahçelievler 18 years earlier. This
was the closest Turkey came to uncovering the powerful connections of
the deep state, but that chance was lost.

Nine years later, a bombing of a bookshop owned by a Kurdish
nationalist in the southeastern town of Å?emdinli, during which
two members of the Turkish security forces were caught red-handed,
gave Turkey another opportunity to shed light on at least some of the
elements of the complex deep state network. However, the prosecutor on
the case was disbarred by the Supreme Board of Prosecutors and Judges
(HSYK) after indicting the land forces commander of the time as being
the founder of a gang that was responsible for the Å?emdinli
bookstore bombing. The three main suspects — two non-commissioned
officers and a PKK informant — were given nearly 40 years each by a
civil court at the end of a lengthy trial process that lasted close to
two years. However, in May of last year the Supreme Court of Appeals
declared the case a mistrial and ordered the suspects be retried by a
military court.

Ergenekon: crimes and members

This is why the trial of Ergenekon is seen as a historic opportunity
for Turkey to confront the deep state for the first time. The
suspects, 45 of whom are currently under arrest, are now standing

Among the 86 suspects are several retired generals, including one who
headed an ultra-Kemalist organization that organized massive
anti-government rallies in 2007; other retired army officers; a number
of mafia bosses who were also ultranationalist youth leaders in the
’70s and ’80s; an ultranationalist lawyer who filed charges of
`insulting Turkishness’ against various intellectuals — including
writer Orhan Pamuk — over statements that fell outside the state
line; journalists; drug lords; the spokesperson of a dubious
organization called the Turkish Orthodox Patriarchate, academics,
including the former rector of the Ä°stanbul University; a
forensic council expert and others. A number of people currently
jailed on charges of Ergenekon membership were also detained or called
to testify in the Susurluk investigation of 1996.

The indictment made public in July accuses the Ergenekon network of
being behind a series of major political assassinations over the past
two decades. The victims include a secularist journalist, UÄ?ur
Mumcu, long believed to have been assassinated by Islamic extremists
in 1993; the head of a business conglomerate, Ã-zdemir
Sabancı, who was shot dead by militants of the extreme-left
Revolutionary People’s Liberation Party/Front (DHKP/C) in his
high-security office in 1996; secularist academic Necip
HablemitoÄ?lu, who was also believed to have been killed by
Islamic extremists, in 2002; and a 2006 attack on the Council of State
that left a senior judge dead. Alparslan Arslan, found guilty of the
Council of State killing, said he attacked the court in protest of an
anti-headscarf ruling it had made. But the indictment contains
evidence that he was connected with Ergenekon and that his family
received large sums of money from unidentified sources after the

The indictment also says Veli Küçük, believed to
be one of the leading members of the network, had threatened Hrant
Dink, a Turkish-Armenian journalist slain by a teenager in 2007,
before his murder — a sign that Ergenekon could be behind that murder
as well. Küçük was also detained, but later
released in the Susurluk affair of 1996.

Suspects began appearing in court as of Oct. 20, facing accusations
that include `membership in an armed terrorist group,’ `attempting to
destroy the government,’ `inciting people to rebel against the
Republic of Turkey’ and other similar crimes.

More questions on Ergenekon

Is Ergenekon being administered from a single center? Or are we faced
with renegade groups that have links with other terrorist
organizations, such as the PKK, whose links with the MÄ°T have
also been exposed? Are its members all ultranationalists who think
they are doing the best for the country? Or are there those who are in
it for the money, illegal business privileges, the prestige or the
sheer thrill of it all? Do the militants in other armed groups in
Turkey realize that all their actions might have been ordered by their
leaders only to serve the purposes of Ergenekon and not their cause?
Some of these questions have certain answers, while others are not yet
known by anyone. The secrecy, the vastness of the organization, its
long life, its successful penetration of every level of the state and
every segment of society make for a highly tangled bundle, which may
take years to extricate.

Some believe that the Ergenekon trial is only a shake-up of the
greater organization to get rid of its elements that have been exposed
or compromised. The prosecutors, they claim, are actually working for
that cause. Given the history of Gladio and the deep state in Turkey,
this theory is a possibility, although, one might optimistically add,
an unlikely one. An overwhelming majority of writers, journalists,
researchers and politicians believe that the trial is not another long
con on the part of deep state masterminds, and that this is Turkey’s
chance to really confront its own Gladio.

04 January 2009, Sunday


From: Emil Lazarian | Ararat NewsPress

Emil Lazarian

“I should like to see any power of the world destroy this race, this small tribe of unimportant people, whose wars have all been fought and lost, whose structures have crumbled, literature is unread, music is unheard, and prayers are no more answered. Go ahead, destroy Armenia . See if you can do it. Send them into the desert without bread or water. Burn their homes and churches. Then see if they will not laugh, sing and pray again. For when two of them meet anywhere in the world, see if they will not create a New Armenia.” - WS